'''
# CsKRb2Tl, relaxed, DFT PBE-GGA
data_CsKRb2Tl
_cell_length_a 7.352
_cell_length_b 7.352
_cell_length_c 7.128
_cell_angle_alpha 90.00
_cell_angle_beta 90.00
_cell_angle_gamma 90.00
_symmetry_space_group_name_H-M 'P 1'
_symmetry_Int_Tables_number 1
loop_
_symmetry_equiv_pos_as_xyz
'x,y,z'
loop_
_atom_site_label
_atom_site_type_symbol
_atom_site_fract_x
_atom_site_fract_y
_atom_site_fract_z
Cs1 Cs 0.000 0.000 0.000
K1 K 0.500 0.500 0.000
Rb1 Rb 0.000 0.500 0.500
Rb2 Rb 0.500 0.000 0.500
Tl1 Tl 0.500 0.500 0.500
# Total magnetization = 0.000 μB/f.u.
# E_form = 0.022 eV per atom
# Energy above the lowest structure with this stoichiometry = 0.0 meV/atom


# CsKRb2Tl, relaxed, DFT PBE-GGA
data_CsKRb2Tl
_cell_length_a 7.374
_cell_length_b 7.374
_cell_length_c 7.441
_cell_angle_alpha 90.00
_cell_angle_beta 90.00
_cell_angle_gamma 90.00
_symmetry_space_group_name_H-M 'P 1'
_symmetry_Int_Tables_number 1
loop_
_symmetry_equiv_pos_as_xyz
'x,y,z'
loop_
_atom_site_label
_atom_site_type_symbol
_atom_site_fract_x
_atom_site_fract_y
_atom_site_fract_z
Cs1 Cs 0.000 0.000 0.000
K1 K 0.500 0.500 0.000
Rb1 Rb 0.000 0.500 0.500
Rb2 Rb 0.500 0.000 0.500
Tl1 Tl 0.000 0.000 0.500
# Total magnetization = 0.000 μB/f.u.
# E_form = 0.067 eV per atom
# Energy above the lowest structure with this stoichiometry = 44.4 meV/atom


# CsKRbTl, relaxed, DFT PBE-GGA
data_CsKRbTl
_cell_length_a 9.675
_cell_length_b 9.675
_cell_length_c 9.675
_cell_angle_alpha 90.00
_cell_angle_beta 90.00
_cell_angle_gamma 90.00
_symmetry_space_group_name_H-M 'P 1'
_symmetry_Int_Tables_number 1
loop_
_symmetry_equiv_pos_as_xyz
'x,y,z'
loop_
_atom_site_label
_atom_site_type_symbol
_atom_site_fract_x
_atom_site_fract_y
_atom_site_fract_z
Cs1 Cs 0.000 0.000 0.000
Cs2 Cs 0.000 0.500 0.500
Cs3 Cs 0.500 0.000 0.500
Cs4 Cs 0.500 0.500 0.000
K1 K 0.250 0.250 0.750
K2 K 0.250 0.750 0.250
K3 K 0.750 0.250 0.250
K4 K 0.750 0.750 0.750
Rb1 Rb 0.250 0.250 0.250
Rb2 Rb 0.250 0.750 0.750
Rb3 Rb 0.750 0.250 0.750
Rb4 Rb 0.750 0.750 0.250
Tl1 Tl 0.000 0.000 0.500
Tl2 Tl 0.000 0.500 0.000
Tl3 Tl 0.500 0.000 0.000
Tl4 Tl 0.500 0.500 0.500
# Total magnetization = 1.453 μB/f.u.
# E_form = 0.052 eV per atom


# Cs2KRbTl, relaxed, DFT PBE-GGA
data_Cs2KRbTl
_cell_length_a 7.559
_cell_length_b 7.559
_cell_length_c 7.415
_cell_angle_alpha 90.00
_cell_angle_beta 90.00
_cell_angle_gamma 90.00
_symmetry_space_group_name_H-M 'P 1'
_symmetry_Int_Tables_number 1
loop_
_symmetry_equiv_pos_as_xyz
'x,y,z'
loop_
_atom_site_label
_atom_site_type_symbol
_atom_site_fract_x
_atom_site_fract_y
_atom_site_fract_z
Cs1 Cs 0.000 0.500 0.000
Cs2 Cs 0.500 0.000 0.000
K1 K 0.000 0.000 0.500
Rb1 Rb 0.500 0.500 0.500
Tl1 Tl 0.500 0.500 0.000
# Total magnetization = 0.000 μB/f.u.
# E_form = 0.066 eV per atom
# Energy above the lowest structure with this stoichiometry = 17.9 meV/atom


# CsK2RbTl, relaxed, DFT PBE-GGA
data_CsK2RbTl
_cell_length_a 7.098
_cell_length_b 7.098
_cell_length_c 7.302
_cell_angle_alpha 90.00
_cell_angle_beta 90.00
_cell_angle_gamma 90.00
_symmetry_space_group_name_H-M 'P 1'
_symmetry_Int_Tables_number 1
loop_
_symmetry_equiv_pos_as_xyz
'x,y,z'
loop_
_atom_site_label
_atom_site_type_symbol
_atom_site_fract_x
_atom_site_fract_y
_atom_site_fract_z
Cs1 Cs 0.000 0.000 0.000
K1 K 0.000 0.500 0.500
K2 K 0.500 0.000 0.500
Rb1 Rb 0.500 0.500 0.000
Tl1 Tl 0.500 0.500 0.500
# Total magnetization = 0.000 μB/f.u.
# E_form = 0.016 eV per atom
# Energy above the lowest structure with this stoichiometry = 0.0 meV/atom


# Cs2KRbV, relaxed, DFT PBE-GGA
data_Cs2KRbV
_cell_length_a 6.732
_cell_length_b 6.732
_cell_length_c 6.977
_cell_angle_alpha 90.00
_cell_angle_beta 90.00
_cell_angle_gamma 90.00
_symmetry_space_group_name_H-M 'P 1'
_symmetry_Int_Tables_number 1
loop_
_symmetry_equiv_pos_as_xyz
'x,y,z'
loop_
_atom_site_label
_atom_site_type_symbol
_atom_site_fract_x
_atom_site_fract_y
_atom_site_fract_z
Cs1 Cs 0.000 0.500 0.000
Cs2 Cs 0.500 0.000 0.000
K1 K 0.000 0.000 0.500
Rb1 Rb 0.500 0.500 0.500
V1 V 0.000 0.000 0.000
'''

Count the lines further above that contain the word "K3" and give the number alone, please.

1